Material >
____________
[1]
C27H38N6O3 | ωB97M-V with the def2-TZVPD basis set

```
! RIJCOSX wB97M-V def2-TZVPD def2/J DEFGRID3
* xyz 0 1
C -1.500 -0.947 3.228
N -1.778 -0.501 1.882
N -1.412 0.640 1.402
O -0.784 1.416 2.134
C -2.547 -1.392 1.042
H -3.593 -1.362 1.369
C -2.490 -1.022 -0.448
N -1.363 -1.676 -1.117
N -1.192 -2.963 -1.214
O -2.026 -3.707 -0.701
C -0.311 -0.890 -1.716
H -0.729 0.018 -2.150
H 0.131 -1.500 -2.508
C 0.779 -0.511 -0.688
N 1.233 -1.714 -0.020
N 0.687 -1.905 1.141
O 0.890 -2.978 1.716
C 2.004 -2.734 -0.714
H 1.381 -3.635 -0.765
C 3.312 -3.089 0.013
C 4.238 -1.912 0.124
C 5.059 -1.559 -0.941
C 5.893 -0.459 -0.852
C 5.918 0.302 0.305
C 5.106 -0.044 1.372
C 4.269 -1.143 1.281
H 3.636 -1.408 2.114
H 5.125 0.542 2.279
H 6.570 1.159 0.376
H 6.528 -0.196 -1.686
H 5.046 -2.154 -1.844
H 3.067 -3.467 1.006
H 3.791 -3.891 -0.553
H 2.214 -2.377 -1.721
H 0.312 0.082 0.102
C 1.910 0.295 -1.339
H 2.868 -0.104 -1.003
H 1.865 0.177 -2.425
C 1.892 1.794 -1.002
C 0.579 2.481 -1.382
C 0.673 3.982 -1.121
C 0.994 4.241 0.348
C 2.303 3.559 0.729
C 2.202 2.058 0.472
H 3.138 1.566 0.743
H 1.411 1.657 1.107
H 2.520 3.736 1.784
H 3.123 3.979 0.141
H 1.060 5.315 0.532
H 0.193 3.837 0.969
H -0.271 4.463 -1.387
H 1.457 4.415 -1.748
H 0.356 2.301 -2.438
H -0.236 2.080 -0.779
H 2.694 2.250 -1.595
H -2.330 0.055 -0.523
C -3.802 -1.393 -1.168
C -4.951 -0.577 -0.647
C -5.940 -1.160 0.134
C -6.987 -0.400 0.628
C -7.054 0.953 0.348
C -6.073 1.543 -0.431
C -5.029 0.783 -0.925
H -4.271 1.248 -1.539
H -6.123 2.598 -0.656
H -7.869 1.547 0.734
H -7.750 -0.868 1.232
H -5.895 -2.218 0.349
H -3.999 -2.456 -1.029
H -3.667 -1.204 -2.236
H -2.179 -2.411 1.195
H -0.834 -1.810 3.200
H -1.011 -0.124 3.749
H -2.429 -1.212 3.734
*
```

Results
SMILES = CN(C[C@H](Cc1ccccc1)N(C[C@H](CC1CCCCC1)N(CCc1ccccc1)N=O)N=O)N=O
LUMO level = 0.613 eV
HOMO energy = -8.97 eV
Kohn-Sham gap = 9.6 eV
ΔE to the lowest compared entry with this formula, charge and spin = 118.8 kcal per mole

***

[2]
C27H38N7O9PtSSb | ωB97M-V with the def2-TZVPD basis set

```
! RIJCOSX wB97M-V def2-TZVPD def2/J DEFGRID3
* xyz 2 5
Pt -0.927 -0.412 0.042
O -3.604 0.614 -4.841
C -2.319 0.743 -5.188
C -1.958 0.914 -6.526
C -0.643 1.107 -6.877
C 0.369 1.142 -5.903
C 0.030 0.973 -4.592
C -1.311 0.754 -4.192
C -1.530 0.528 -2.788
O -0.668 0.809 -1.926
N -2.759 -0.051 -2.416
N -2.730 -0.444 -1.174
C -3.858 -0.859 -0.644
C -3.861 -1.159 0.769
C -4.979 -1.695 1.392
C -4.929 -1.954 2.757
C -3.773 -1.651 3.448
C -2.693 -1.100 2.757
N -2.729 -0.863 1.458
H -4.165 0.646 -5.628
H -2.732 0.901 -7.284
H -0.387 1.233 -7.920
H 1.397 1.290 -6.197
H 0.789 0.973 -3.822
H -4.756 -0.935 -1.249
H -5.866 -1.913 0.812
H -5.781 -2.383 3.266
H -3.687 -1.832 4.510
H -1.777 -0.843 3.275
O 0.067 -4.038 -1.012
N -0.264 -2.940 -0.708
O 0.018 -1.914 -1.417
O -0.934 -2.690 0.361
C 2.871 -5.379 0.582
C 3.253 -3.972 0.133
S 4.768 -3.495 0.940
O 5.820 -4.336 0.456
O 4.496 -3.374 2.352
C 5.109 -1.828 0.350
C 4.630 -0.735 1.292
N 3.173 -0.753 1.519
C 2.237 -0.432 0.601
N 1.022 -0.685 1.077
C 1.174 -1.209 2.334
C 2.496 -1.248 2.610
N 3.075 -1.571 3.897
O 2.395 -2.277 4.604
O 4.128 -1.050 4.181
C 2.528 0.107 -0.753
H 1.963 -5.685 0.067
H 2.695 -5.409 1.656
H 3.663 -6.085 0.340
H 2.496 -3.235 0.415
H 3.430 -3.921 -0.942
H 4.727 -1.735 -0.668
H 6.198 -1.784 0.289
H 4.888 0.245 0.893
H 5.099 -0.837 2.265
H 0.360 -1.534 2.955
H 3.338 0.835 -0.725
H 1.636 0.589 -1.150
H 2.805 -0.691 -1.444
C 0.714 3.789 -0.803
C 0.661 3.305 0.643
Sb -1.088 2.157 1.068
C -2.659 3.208 0.092
C -2.842 4.631 0.614
C -1.477 2.417 3.156
C -0.833 3.674 3.738
H 1.652 4.313 -0.989
H -0.095 4.489 -1.017
H 0.639 2.968 -1.515
H 0.662 4.138 1.346
H 1.519 2.679 0.892
H -3.565 2.615 0.228
H -2.421 3.196 -0.973
H -3.112 4.644 1.670
H -3.641 5.131 0.067
H -1.938 5.230 0.491
H -1.127 1.524 3.675
H -2.565 2.442 3.247
H 0.255 3.624 3.697
H -1.114 3.783 4.786
H -1.150 4.578 3.218
*
```

Results
LUMO level (alpha / beta) = -6.930 / -8.908 eV
HOMO energy (alpha / beta) = -13.18 / -14.07 eV
____________
Work order >
Filter the block further up: keep the lines with the word "per".
Solution >
ΔE to the lowest compared entry with this formula, charge and spin = 118.8 kcal per mole